The GR8 Electrical Acronym Guide for Home Owners

____________
Material: SmTaO4
Method: DFT, GGA-PBE
State: optimized geometry

The structure in CIF format:
```
data_SmTaO4
_chemical_formula_sum 'Sm2 Ta2 O8'
_cell_length_a 6.680
_cell_length_b 6.680
_cell_length_c 5.148
_cell_angle_alpha 69.74
_cell_angle_beta 69.74
_cell_angle_gamma 115.25
_space_group_name_H-M_alt 'P 1'
_space_group_IT_number 1
_space_group_name_Hall 'P 1'
loop_
_atom_site_label
_atom_site_fract_x
_atom_site_fract_y
_atom_site_fract_z
Ta1 0.900 0.100 0.750
Ta2 0.100 0.900 0.250
Sm1 0.369 0.631 0.750
Sm2 0.631 0.369 0.250
O1 0.272 0.208 0.795
O2 0.792 0.728 0.705
O3 0.728 0.792 0.205
O4 0.054 0.640 0.159
O5 0.208 0.272 0.295
O6 0.640 0.054 0.659
O7 0.946 0.360 0.841
O8 0.360 0.946 0.341
```

Energy relative to the elements = -356.7 kJ per mole of atoms
Space group = No. 15

---

Material: Sm3TaO7
Method: DFT, GGA-PBE
State: optimized geometry

The structure in CIF format:
```
data_Sm3TaO7
_chemical_formula_sum 'Sm6 Ta2 O14'
_cell_length_a 6.624
_cell_length_b 6.624
_cell_length_c 7.654
_cell_angle_alpha 90.00
_cell_angle_beta 90.00
_cell_angle_gamma 109.30
_space_group_name_H-M_alt 'P 1'
_space_group_IT_number 1
_space_group_name_Hall 'P 1'
loop_
_atom_site_label
_atom_site_fract_x
_atom_site_fract_y
_atom_site_fract_z
Sm1 0.465 0.001 0.254
Sm2 0.999 0.535 0.246
Sm3 0.523 0.523 0.500
Sm4 0.477 0.477 0.000
Sm5 0.535 0.999 0.754
Sm6 0.001 0.465 0.746
O1 0.364 0.636 0.250
O2 0.061 0.939 0.250
O3 0.690 0.941 0.035
O4 0.923 0.679 0.527
O5 0.370 0.630 0.750
O6 0.321 0.077 0.973
O7 0.679 0.923 0.473
O8 0.310 0.059 0.535
O9 0.636 0.364 0.750
O10 0.939 0.061 0.750
O11 0.077 0.321 0.027
O12 0.630 0.370 0.250
O13 0.941 0.690 0.965
O14 0.059 0.310 0.465
Ta1 0.002 0.002 0.500
Ta2 0.998 0.998 0.000
```

Offset from the most stable computed form = 0 meV per atom
Energy relative to the elements = -366.0 kJ per mole of atoms
Space group = No. 20

---

Material: Sm3TaO7
Method: DFT, GGA-PBE
State: optimized geometry

The structure in CIF format:
```
data_Sm3TaO7
_chemical_formula_sum 'Sm12 Ta4 O28'
_cell_length_a 7.597
_cell_length_b 7.678
_cell_length_c 10.839
_cell_angle_alpha 90.00
_cell_angle_beta 90.00
_cell_angle_gamma 90.00
_space_group_name_H-M_alt 'P 1'
_space_group_IT_number 1
_space_group_name_Hall 'P 1'
loop_
_atom_site_label
_atom_site_fract_x
_atom_site_fract_y
_atom_site_fract_z
O1 0.466 0.550 0.874
O2 0.961 0.413 0.114
O3 0.748 0.175 0.250
O4 0.752 0.675 0.750
O5 0.461 0.087 0.114
O6 0.245 0.231 0.883
O7 0.034 0.050 0.374
O8 0.252 0.825 0.750
O9 0.961 0.413 0.386
O10 0.255 0.731 0.383
O11 0.966 0.950 0.626
O12 0.755 0.769 0.383
O13 0.039 0.587 0.886
O14 0.461 0.087 0.386
O15 0.248 0.325 0.250
O16 0.034 0.050 0.126
O17 0.539 0.913 0.614
O18 0.245 0.231 0.617
O19 0.539 0.913 0.886
O20 0.039 0.587 0.614
O21 0.255 0.731 0.117
O22 0.755 0.769 0.117
O23 0.745 0.269 0.617
O24 0.745 0.269 0.883
O25 0.534 0.450 0.374
O26 0.534 0.450 0.126
O27 0.966 0.950 0.874
O28 0.466 0.550 0.626
Ta1 0.999 0.749 0.750
Ta2 0.501 0.249 0.250
Ta3 0.001 0.251 0.250
____________

While we hope you’re doing a lot of LOL’ing (laughing out loud) in your home, we also hope your GFI’s (Ground Fault interrupters) are installed in the right places to make sure your home is really safe. Not sure what a GFI is for? NP (no problem.) This GR8 (Great) Electrical Acronym Guide is just for you.

BM&U (Between me and you), if you’re a nOOb (newbie) to this, don’t worry. If we go 2F4U (too fast for you) just let us know, we FACK (fully acknowledge) it might be difficult to follow.

DGMW (Don’t get me wrong), but IMHO (in my humble opinion) this is elementary, and IRL (in real life) getting schooled in electrical matters is very important.

Between two parts of the page: materials data:
-- begin --
64
Lattice="0.0000 11.5068 10.0947 3.6417 0.0000 10.0947 3.6417 11.5068 0.0000" Properties=species:S:1:pos:R:3 comment="GGA+U NaV2O5, relaxed" relative_energy_mev_per_atom=11 energy_ev_per_atom=-7.07 vol_a3_per_atom=13.22 space_group=Fmm2 formation_energy_mev_per_atom=-2400 pbc="T T T"
Na 0.0000 0.0000 0.0000
Na 1.8209 5.7534 3.7179
Na 3.6417 11.5068 5.0376
Na 1.8209 5.7534 8.7644
Na 3.6417 11.5068 10.0864
Na 5.4626 17.2602 13.8126
Na 3.6417 11.5068 15.1412
Na 5.4626 17.2602 18.8591
V 5.4597 9.7814 7.4231
V 3.6417 7.4590 6.4403
V 5.4597 13.2323 7.4231
V 3.6417 3.9827 11.3704
V 5.4599 9.7809 12.4696
V 3.6417 7.4536 11.5013
V 5.4599 13.2327 12.4696
V 3.6417 15.5547 6.4403
V 1.8238 9.7814 7.4231
V 3.6417 7.5209 16.4347
V 1.8238 13.2323 7.4231
V 3.6417 15.5600 11.5013
V 1.8235 9.7809 12.4696
V 3.6417 19.0309 11.3704
V 1.8235 13.2327 12.4696
V 3.6417 15.4927 16.4346
O 1.8462 3.6911 1.9383
O 1.8145 1.5073 4.0095
O 3.6417 7.2702 4.8072
O 5.4528 11.5068 6.7736
O 3.6417 5.8011 7.0798
O 5.4639 9.9990 9.0580
O 3.6417 4.2603 9.7380
O 3.6417 2.0437 11.8586
O 1.7955 7.8158 1.9383
O 3.6417 9.4495 6.8355
O 1.7908 3.6894 6.9860
O 5.4639 13.0146 9.0580
O 3.6417 7.2730 9.8679
O 5.4505 11.5068 11.8203
O 3.6417 5.7877 12.1257
O 1.8273 9.9995 4.0095
O 3.6417 15.7435 4.8072
O 3.6417 13.5641 6.8355
O 1.8509 7.8175 6.9860
O 3.6417 9.4465 11.8872
O 5.4372 15.1979 12.0330
O 5.4690 13.0141 14.1042
O 3.6417 7.2493 14.8019
O 1.8306 11.5068 6.7736
O 3.6417 17.2125 7.0798
O 1.8196 9.9990 9.0580
O 3.6417 15.7406 9.8679
O 3.6417 13.5671 11.8872
O 5.4880 19.3226 12.0330
O 3.6417 9.4621 16.9110
O 5.4927 15.1962 17.0808
O 1.8196 13.0146 9.0580
O 3.6417 18.7533 9.7380
O 1.8330 11.5068 11.8203
O 3.6417 17.2259 12.1257
O 5.4562 21.5063 14.1042
O 3.6417 15.7644 14.8019
O 3.6417 13.5515 16.9110
O 5.4325 19.3243 17.0808
O 3.6417 20.9700 11.8586

---

16
Lattice="7.1836 0.0000 0.0000 0.0000 6.1517 0.0000 0.0000 0.0000 5.6029" Properties=species:S:1:pos:R:3 comment="GGA+U Na3VO4, relaxed" energy_ev_per_atom=-5.84 vol_a3_per_atom=15.47 piezo_max_c_m2=1.19 space_group=Pmn2_1 formation_energy_mev_per_atom=-2295 pbc="T T T"
Na 0.0000 0.9750 0.0000
Na 1.7677 2.0080 2.8093
Na 1.8241 4.1437 0.0078
Na 3.5918 5.1767 2.8014
Na 5.3595 4.1437 0.0078
Na 5.4159 2.0080 2.8093
V 0.0000 5.0858 2.8776
V 3.5918 1.0659 0.0762
O 0.0000 0.6005 2.3334
O 0.0000 5.0585 4.6174
O 1.4467 4.2594 2.3197
O 2.1451 1.8923 5.1211
O 3.5918 1.0932 1.8159
O 3.5918 5.5512 5.1348
O 5.0385 1.8923 5.1211
O 5.7370 4.2594 2.3197

---

22
Lattice="0.0000 4.6952 10.1459 3.0097 0.0000 10.1459 3.0097 4.6952 0.0000" Properties=species:S:1:pos:R:3 comment="GGA+U Na4V2O5, relaxed" energy_ev_per_atom=-5.78 vol_a3_per_atom=13.03 space_group=Fddd formation_energy_mev_per_atom=-2022 pbc="T T T"
Na 3.7595 3.5271 5.6949
Na 3.7595 3.5157 9.5239
Na 5.2643 5.8634 10.7679
Na 5.2643 5.8747 14.5968
Na 0.7551 3.5157 5.6949
Na 0.7551 3.5271 9.5239
Na 2.2600 5.8747 10.7679
Na 2.2600 5.8634 14.5968
V 2.2573 1.5884 7.6094
V 3.7622 3.9360 12.6824
-- stop --

AAMOF (As a matter of Fact) these are acronyms that you’ll often see on your electrical outlets and on the backs of electrical equipment quite frequently.

We’ll try not to give you TMI (too much information), we don’t want to leave you SITD (still in the dark) from information overload. These are some FAQ’s (frequently asked questions) we get from our clients.

Essential Home Owner Electrical Acronyms


kilowatt hours
Your electrical meter tallies the amount of electricity used in your home in units of kilowatt hours (kWh). According to Hydro Quebec consumption calculation tools, one kWh is equal to the consumption of one 1,000-watt electronic device in one hour. To calculate the consumption of a device, multiply its power by the number of hours of use. Then, divide the result by 1,000 to obtain the consumption in kWh.


A new home might have 200 amp service, while we inspectors see older homes with only 100 amp service. A very large home could be equipped with 400 amp of service, particularly if there are 2 kitchens and a second heating/cooling system. To know how many amps your home has, open your electrical panel look for the largest breaker switch in the panel – the number on the switch will tell you the total amps your home provides.


Ground Fault Circuit Interrupt (GFCI)
A GFCI outlet senses when a human being is getting a shock, and shuts off the electricity at the outlet or breaker within milliseconds. GFCI’s should always be installed bathrooms and kitchens, where water might be present. Ideally, we like to see them everywhere.


Arc Fault Circuit Interrupter
An Arc Fault Circuit Interrupter (AFCI) is a type of receptacle or circuit breaker that breaks a circuit when it detects a dangerous electrical arc, which can cause wires to overheat and cause an electrical fires.
AFCI protection is required in all dwelling units (apartments, homes, manufactured homes, RVs and mobile homes).

If you need F2F (face to face) help with your electrical system, let us know. We’ll get back to you B4YKI (before you know it.)

**Next to the article, the page also holds records of crystals**
[1]
Computed, not measured: a relaxed MgCrFeBi2O6 crystal at the PBE with a Hubbard U level of DFT.

distance to the lowest polymorph of the same formula: 0 kJ/mol of formula units
E_form: -175 kJ per mole of atoms
total energy: -6.250 eV per atom

abc: 6.334 6.645 6.826
angles: 49.95 50.91 50.86
Atoms (fractional coordinates):
Mg1 0.410 0.353 0.357
Cr1 0.200 0.195 0.196
Fe1 0.822 0.721 0.730
Bi1 0.564 0.553 0.568
Bi2 0.052 0.012 0.996
O1 0.309 0.542 0.988
O2 0.967 0.419 0.599
O3 0.826 0.391 0.108
O4 0.176 0.810 0.370
O5 0.517 0.994 0.340
O6 0.471 0.087 0.740

---

[2]
Computed, not measured: a relaxed MgCrFeBi2O6 crystal at the PBE with a Hubbard U level of DFT.

distance to the lowest polymorph of the same formula: 52 kJ/mol of formula units
E_form: -170 kJ per mole of atoms
total energy: -6.200 eV per atom

abc: 6.425 6.531 6.514
angles: 52.04 51.56 51.24
Atoms (fractional coordinates):
Mg1 0.866 0.870 0.882
Cr1 0.236 0.226 0.238
Fe1 0.686 0.697 0.708
Bi1 0.520 0.517 0.524
Bi2 0.030 0.051 0.072
O1 0.301 0.669 0.914
O2 0.906 0.276 0.636
O3 0.881 0.465 0.110
O4 0.001 0.818 0.517
O5 0.619 0.908 0.309
O6 0.447 0.067 0.916

---

[3]
Computed, not measured: a relaxed LaMgCrBiO6 crystal at the PBE with a Hubbard U level of DFT.

E_form: -241 kJ per mole of atoms
total energy: -6.860 eV per atom

abc: 5.760 5.559 9.766
angles: 56.26 90.00 90.00
Atoms (fractional coordinates):
La1 0.306 0.765 0.248
La2 0.694 0.765 0.748
Mg1 0.800 0.230 0.251
Mg2 0.200 0.230 0.751
Cr1 0.244 0.001 0.500
Cr2 0.756 0.001 0.000
Bi1 0.245 0.500 0.998
Bi2 0.755 0.500 0.498
O1 0.834 0.345 0.766
O2 0.031 0.112 0.074
O3 0.056 0.787 0.431
O4 0.583 0.227 0.074
O5 0.554 0.917 0.430
O6 0.296 0.616 0.730
O7 0.166 0.345 0.266
O8 0.969 0.112 0.574
O9 0.944 0.787 0.931
O10 0.417 0.227 0.574
O11 0.446 0.917 0.930
O12 0.704 0.616 0.230

---

[4]
Computed, not measured: a relaxed LaZnCrBiO6 crystal at the PBE with a Hubbard U level of DFT.

E_form: -219 kJ per mole of atoms
total energy: -6.598 eV per atom

abc: 6.542 5.655 9.229
angles: 56.08 90.00 90.00
Atoms (fractional coordinates):
La1 0.147 0.718 0.255
La2 0.853 0.718 0.755
Zn1 0.863 0.248 0.229
Zn2 0.137 0.248 0.729
Cr1 0.284 0.974 0.511
Cr2 0.716 0.974 0.011
Bi1 0.327 0.476 0.993
Bi2 0.673 0.476 0.493
O1 0.765 0.122 0.772
O2 0.479 0.798 0.075
O3 0.386 0.348 0.445
O4 0.912 0.656 0.054
O5 0.904 0.243 0.442
O6 0.192 0.917 0.723
O7 0.235 0.122 0.272
O8 0.521 0.798 0.575
O9 0.614 0.348 0.945
O10 0.088 0.656 0.554
O11 0.096 0.243 0.942
O12 0.808 0.917 0.223

---

[5]
Computed, not measured: a relaxed Li4Cr5BiO12 crystal at the PBE with a Hubbard U level of DFT.

E_form: -208 kJ per mole of atoms
total energy: -6.740 eV per atom

abc: 5.265 5.277 10.146
angles: 93.63 97.29 60.07
Atoms (fractional coordinates):
Li1 0.217 0.337 0.725
Li2 0.446 0.337 0.275
Li3 0.554 0.663 0.725
Li4 0.783 0.663 0.275
Cr1 0.164 0.672 0.500
Cr2 0.666 0.667 0.000
Cr3 0.334 0.333 0.000
Cr4 0.836 0.328 0.500
Cr5 0.500 0.000 0.500
Bi1 0.000 0.000 0.000

HTH (Hope this helps)

EOD (End of discussion.)

MTFBWY (May the force be with you.)